Nito-Ryu Waza

The following are movies demonstrating Nito-Ryu Waza (techniques of the two-sword tradition). They come from a Nito-Ryu page in Japan. Unfortunately, I do not know the names of the kendoka demonstrating these.

Here is the original link to the Japanese site:

  • Kirikaeshi
    When performing nito kirikaeshi the principal is the same as when performing it in the itto manner. The fundamental difference, however, is to strike your opponent alternating shoto and daito. But the movement of alternation is quite important. When lowering the shinai of one hand after a strike, the shinai of the other hand should be rising to strike. In this manner you are attacking with one hand and defending yourself with the other at the same time. Begin this technique by striking the daito of your opponent with the shinogi of your shoto, then strike men with your diato. Next, start your alternating motions with your diato.

  • Osaete Men
    Using the inside shinogi of your shoto, force the diato of your opponent downwards and to the outside. Keep your shoto down over the top of your opponent's diato, this keeps his sword in check and serves to push it aside as you move forward. Then strike men. It is important to do this block and attack in one motion (hiyouritai) while your opponent's diato is held down securely.

_Calculated crystals, as found in the file_
........
Entry 1:
# Ho2Fe4IrC4
Computed X-ray diffraction stick pattern, Cu Kα, 1.54184 Å. Input: a structure optimized by DFT (GGA-PBE).

Structure:
```
Ho2Fe4IrC4
1.0
0.000 4.771 5.157
2.516 0.000 5.157
2.516 4.771 0.000
Ho Fe Ir C
2 4 1 4
Cartesian
2.516 4.771 1.556
2.516 4.771 8.759
1.258 2.386 0.000
1.258 2.386 2.579
1.258 2.386 5.157
3.774 7.157 7.736
2.516 4.771 5.157
2.516 3.171 3.776
2.516 3.171 6.539
2.516 6.371 3.776
2.516 6.371 6.539
```

Most intense lines, 2θ from 5° to 70°, most intense first:
2θ/deg  I/Imax
32.9  100
40.5  65
42.7  60
37.7  40
18.6  26
58.3  20
62.4  16
70.0  14
68.9  14
69.0  11
39.7  10
56.9  9

Entry 2:
# SrDyNO
Computed X-ray diffraction stick pattern, Cu Kα, 1.54184 Å. Input: a structure optimized by DFT (GGA-PBE).

Structure:
```
SrDyNO
1.0
4.968 0.000 0.000
0.000 4.968 0.000
0.000 0.000 5.108
Sr Dy N O
2 2 2 2
Cartesian
1.242 1.242 5.105
3.726 3.726 0.002
1.242 3.726 2.554
3.726 1.242 2.554
1.242 1.242 2.542
3.726 3.726 2.566
1.242 3.726 0.000
3.726 1.242 0.000
```

Most intense lines, 2θ from 5° to 70°, most intense first:
2θ/deg  I/Imax
30.9  100
36.2  54
51.3  38
61.8  30
35.1  29
64.4  19
52.1  18
60.4  16
17.4  10
25.4  10
40.4  5
43.8  5

Entry 3:
# MgHgPb2
Computed X-ray diffraction stick pattern, Cu Kα, 1.54184 Å. Input: a structure optimized by DFT (GGA-PBE).

Structure:
```
MgHgPb2
1.0
0.000 3.781 3.781
3.781 0.000 3.781
3.781 3.781 0.000
Mg Hg Pb
1 1 2
Cartesian
0.000 0.000 0.000
1.891 1.891 1.891
3.781 3.781 3.781
5.672 5.672 5.672
```

Most intense lines, 2θ from 5° to 70°, most intense first:
2θ/deg  I/Imax
33.5  100
59.9  39
48.1  18
20.3  18
39.5  10
23.5  9
52.8  5
54.2  4
64.0  3
41.4  3


Starting from the GGA+U geometry in the Materials Project, the powder diffraction line list of TiMn2O6 was simulated for Cu Kα.
Peak positions follow from Bragg's law for the DFT cell and can differ from measured ones.

Main lines, by angle (15° ≤ 2θ ≤ 90°):
18.29 deg, intensity 100.0; 36.41 deg, intensity 27.1; 39.95 deg, intensity 22.2; 45.28 deg, intensity 29.8; 52.06 deg, intensity 12.2; 59.89 deg, intensity 14.7; 63.98 deg, intensity 14.8; 86.16 deg, intensity 6.3

Lattice parameters (Å, degrees): 5.103 5.103 9.700 90.00 90.00 59.92
Element x y z (fractional)
1 Ti 0.000 0.000 0.000
2 Ti 0.500 0.500 0.500
3 Mn 0.167 0.167 0.500
4 Mn 0.333 0.333 0.000
5 Mn 0.667 0.667 0.000
6 Mn 0.833 0.833 0.500
7 O 0.000 0.339 0.099
8 O 0.000 0.661 0.901
9 O 0.160 0.840 0.600
10 O 0.161 0.500 0.401
11 O 0.339 0.000 0.901
12 O 0.340 0.660 0.100
13 O 0.500 0.161 0.599
14 O 0.500 0.839 0.401
15 O 0.660 0.340 0.900
16 O 0.661 0.000 0.099
17 O 0.839 0.500 0.599
18 O 0.840 0.160 0.400

=====

Starting from the GGA+U geometry in the Materials Project, the powder diffraction line list of K2MgFe4P6O16F12 was simulated for Cu Kα.
Peak positions follow from Bragg's law for the DFT cell and can differ from measured ones.

Main lines, by angle (15° ≤ 2θ ≤ 90°):
........

  • Ura Osaete Men
    Like Osaete Men, however, instead of sweeping down to the inside, bring your shoto around and sweep up to the outside using the outside shinogi.

Inserted here: calculated crystals =
-- begin --
[1]
# Li4Mg3In
Calculated X-ray diffraction stick pattern, Cu Kα. Input: a GGA-PBE-relaxed structure.
Peak positions follow from Bragg's law for the DFT cell and can differ from measured ones.

Top 10 peaks for 10 to 90 degrees two-theta, by intensity:
index  2θ (°)  Rel. int.
1 1 2  37.6  100
1 1 0  26.2  86
1 0 1  22.7  66
0 0 1  13.1  58
1 0 0  18.4  54
2 0 0  37.4  51
0 0 2  26.5  42
2 0 2  46.4  35
1 1 1  29.4  34
3 1 2  67.5  34

Structure:
a b c (Å): 4.813 4.813 6.739
angles (deg): 90.00 90.00 90.00
Space group P4/mmm (No. 123)
Symmetry-distinct sites (fractional):
Li (0.000, 0.500, 0.241) [4 per cell]
Mg (0.000, 0.000, 0.000) [1 per cell]
Mg (0.000, 0.000, 0.500) [1 per cell]
Mg (0.500, 0.500, 0.500) [1 per cell]
In (0.500, 0.500, 0.000) [1 per cell]


[2]
# Li15Mg2In2
Calculated X-ray diffraction stick pattern, Cu Kα. Input: a GGA-PBE-relaxed structure.
Peak positions follow from Bragg's law for the DFT cell and can differ from measured ones.

Top 10 peaks for 10 to 90 degrees two-theta, by intensity:
index  2θ (°)  Rel. int.
1 1 0  19.1  100
1 0 1  12.5  100
1 0 4  26.6  34
3 0 0  33.3  32
2 1 4  38.3  29
0 2 4  32.9  26
2 2 0  38.7  26
2 0 5  37.8  24
0 1 5  32.3  24
1 2 5  42.6  24

Structure:
a b c (Å): 9.3115 9.3115 14.7640
angles (deg): 90.00 90.00 120.00
Space group R-3m (No. 166, hexagonal axes)
Symmetry-distinct sites (fractional):
Li (0.0000, 0.2824, 0.0000) [18 per cell]
Li (0.0000, 0.5000, 0.5000) [9 per cell]
Li (0.0084, 0.5042, 0.1298) [18 per cell]
Mg (0.0000, 0.0000, 0.3288) [6 per cell]
In (0.0000, 0.0000, 0.1086) [6 per cell]


[3]
# Li2MgIn4
Calculated X-ray diffraction stick pattern, Cu Kα. Input: a GGA-PBE-relaxed structure.
Peak positions follow from Bragg's law for the DFT cell and can differ from measured ones.

Top 10 peaks for 10 to 90 degrees two-theta, by intensity:
index  2θ (°)  Rel. int.
1 0 -2  18.7  100
1 2 -2  34.3  60
2 0 0  29.9  40
0 2 0  28.5  36
2 2 0  41.8  28
1 2 2  46.0  24
3 2 -2  46.4  23
2 0 -4  37.9  23
1 0 2  35.3  22
3 0 -2  35.7  22

Structure:
a b c (Å): 7.580 6.257 9.508
angles (deg): 90.00 128.01 90.00
Space group P2_1/c (No. 14)
Symmetry-distinct sites (fractional):
Li (0.248, 0.001, 0.374) [4 per cell]
Mg (0.500, 0.000, 0.000) [2 per cell]
In (0.000, 0.250, 0.000) [4 per cell]
In (0.500, 0.250, 0.250) [4 per cell]


[4]
# LiMg4In2
Calculated X-ray diffraction stick pattern, Cu Kα. Input: a GGA-PBE-relaxed structure.
Peak positions follow from Bragg's law for the DFT cell and can differ from measured ones.

Top 10 peaks for 10 to 90 degrees two-theta, by intensity:
index  2θ (°)  Rel. int.
2 2 0  35.5  100
1 1 1  19.0  94
1 1 3  28.5  67
1 3 3  39.4  28
2 0 4  42.7  28
1 3 1  32.9  24
2 4 4  58.5  22
0 4 0  38.0  22
0 2 0  18.7  20
2 6 0  67.0  15

Structure:
a b c (Å): 5.999 9.469 11.967
angles (deg): 90.00 90.00 90.00
Space group Fmmm (No. 69)
Symmetry-distinct sites (fractional):
Li (0.000, 0.000, 0.000) [4 per cell]
Mg (0.250, 0.250, 0.000) [8 per cell]
-- stop --
The piece goes on =

  • Tohma Men
    Using the inside shinogi of your shoto strike your opponent's diato at the kissaki forcing it outward, then strike Men with your diato. Suddeness is the key to executing this technique.

  • Tsuki ni Men
    As your opponent moves in for tsuki, strike their diato sharply downwards with your shoto, enter and cut Men with your daito. The main point it holding down with your shoto as in Osaete Men.

  • Kote Men
    Force your opponent's diato outwards with the outside shinogi of your shoto. As your opponent rises against this motion cut Kote with your diato. Then step in and cut Men with your shoto.

  • Suriage Kote
    The bamboo sword of the partner stands, or there is on a center, while (it is in the central vicinity) instantly inserting the body in case, making Kodati slide, to rub, when to rub, it shakes the large sword simultaneously in the gauntlet of the partner and lowers.

  • Kote Nuki Men
    Vis-a-vis the gauntlet of the partner, lowering the bamboo sword, it pulls out, the surface goes to striking simultaneously.

  • Kote Harai Men
    Vis-a-vis the gauntlet of the partner, (you paying to your own) right with Kodati, it strikes the surface instantly.

  • Hensoku Kote
    When the partner was cautious the gauntlet, was increasing the bamboo sword to the right top, the left gauntlet is struck. If with judgement rule of today from the shoulder the right hand has come on, it becomes one, but it does not become one and the TE, the partner is moved by threat, attacks and reaches the point where you grow weary. Generally the person who is struck enters "huh, this TSUTE gauntlet? "With you hear, but being that to be hitting sudden similar and the gauntlet of the gauntlet, because it does, if it strikes properly, it enters, probably will be and, you do not have to strike, there are no times.

  • Kaeshi Do (Gyaku)
    Vis-a-vis the surface of the partner, while defending the surface with Kodati, it strikes the torso with the large sword. At that time, the body bending, there are no times when it strikes the sea urchin it will do (to the especially left). Collectively, from handle half applying around the upper - brim origin, unless it has, the bamboo sword being caught, to pull out it is not possible the having position of the large sword.

  • Kaeshi Do (Sei)
    Correct two sword versions of return torso of opposite two swords. Blade muscle it will strike securely just.

  • Do Misete Men (Note: Misete = "Fake")
    Camouflaging that the torso is struck with the large sword, the place where it goes down to the bamboo sword of the partner avoiding the torso it strikes the surface with Kodati.

  • Men Misete Do
    Striking the surface with the large sword, the place where the bamboo sword of the partner rises, avoids the surface with Kodati is cut in the torso. Not to be to strike the surface vaguely, after striking securely, it will change to the torso.

  • Men Misete Kote
    Attacking the partner well, it attacks and one time depressing vis-a-vis the partner who has grown weary, the place where labor assistant rises it produces the large sword that way before, strikes the gauntlet.

  • Gyaku Do Kaeshi Men
    The opposite torso which the partner strikes is received with Kodati, the body is judged that way on the left and the right one side of the partner is struck.

  • Hiki Men
    The staying of the partner the place where it arrives you hold down the bamboo sword of the partner with Kodati, pull instantly and strike the surface. This time, you grasp the position and your own position of the partner, striking from the chart when and, when striking from the reverse side you use properly.

  • Hiki Kote
    The pulling aspect similarly, you catch the instant of the partner, cut in the gauntlet. Being to be the skill to which the movement is small, is not recognized easily using the wrist, will try to strike lightly.

  • Hiki Do

    "It pulls and the surface" "pulls and the gauntlet" while holding down with Kodati, hitting protruding it does, but "it pulls and the instant holding down, the partner being cautious the bamboo sword of the partner in regard to the torso," it cuts the place where the hand rises for defending in the torso.

  • Men Taiatari Hiki Do (Note: Taiatari = "bodycheck" or "push")
    It does with one sword, "per face piece it pulls and when hitting protruding it does the surface differing from the torso", it changes to the torso immediately.

  • Kote Men Sabaite Hiki Men
    With Kodati holding down the bamboo sword of the partner from the reverse side, it strikes the gauntlet surface, after that judges the body on the left side of the partner and pulls and strikes the surface.

  • Jodan Kote Kote
    It strikes the left gauntlet of the partner, it returns making use of the reaction which strikes the gauntlet, strikes the right gauntlet.